Explore Iowa: Upper Iowa River
Posted on June 9, 2016 in Blog

The Upper Iowa River winds through three northeast Iowa counties (Howard, Winneshiek, and Allamakee) before entering the Mississippi River. Along the way, the river courses through stunning bluffs and palisades, pastoral farmland and vibrant communities. It is popular with paddlers, tubers, anglers and other outdoor enthusiasts.
The Upper Iowa River region supports wooded bluffs, hillside "goat" prairies and floodplain wetlands. It also provides critical habitat for diverse fish and wildlife, and native plants and insects. For these reasons it is often considered an ecological treasure.
Read on to learn more about this special river, what you can see/do there, how Iowa Natural Heritage Foundation is protecting the river's natural beauty with the help of many partners — and how you can help.
Upper Iowa River: Plan Your Visit
The Upper Iowa River passes through a lovely part of Iowa with many outdoor recreational opportunities and other tourism services and amenities. Use the links below to help plan your trip.
This site is a goldmine of information about the entire northeastern portion of Iowa (including six counties: Allamakee, Clayton, Howard, Fayette, Buchanan, and Winneshiek). Includes great information and interactive searches.
The official Iowa tourism site also provides detailed information and interactive searches, not only about this region but about the entire state.
The Winneshiek County Conservation Board's site has information on camping, trails, preserves, historic sites, and parks in the area. There are pictures, descriptions, some history, and contacts given, as well as a PDF map of the Prairie Farmer Recreational Trail.
This Destination Report offers a brief description of the two main sections of the Upper Iowa River and some hints about what seasons to paddle them. The main Iowa page has similar reports for several other Iowa rivers.
Iowa Coalition of Off-Road Riders has created a haven site for the adventurous biker. They've done a great job compiling information on difficulty levels, area descriptions, trail maps, facilities and links. Rider feedback on their experiences really adds to the feel you get about each trail. ICORR is a great site for locating trails along the Upper Iowa - and across the state.
This website contains in-depth descriptions of the watershed, detailed water sampling data from 1999 to present, graphs and maps showing water testing results, maps displaying watershed characteristics, a photo tour of the watershed, publications relating to the watershed, links pertaining to the watershed, and a feedback section that allows visitors to provide comments.
Upper Iowa River: INHF's Role
While the Upper Iowa River's natural features are some of the most significant in Iowa, they are also under some of the most intensive development pressure. Homes, roads, and developments can quickly destroy natural areas.
The entry is interrupted by calculated crystals.
____________
Record 1
For Hf3NiRh, a GGA-PBE-relaxed structure gives the theoretical PXRD pattern in this record (λ = 1.5418 Å (Cu Kα)).
Intensities are scaled so that the largest is 100.

Top 10 peaks for 5° ≤ 2θ ≤ 70°, by angle:
2theta, I/Imax
27.49, 26
30.21, 60
36.25, 42
39.76, 14
41.30, 100
47.88, 14
53.65, 17
65.64, 16
66.48, 14
68.81, 17

Structure:
```
data_Hf3NiRh
_symmetry_space_group_name_H-M 'R 3 2'
_symmetry_Int_Tables_number 155
_symmetry_space_group_name_Hall 'R 3 2"'
_cell_length_a 5.9174
_cell_length_b 5.9174
_cell_length_c 19.4648
_cell_angle_alpha 90.00
_cell_angle_beta 90.00
_cell_angle_gamma 120.00
loop_
_atom_site_label
_atom_site_type_symbol
_atom_site_fract_x
_atom_site_fract_y
_atom_site_fract_z
Hf1 Hf 0.0029 0.4019 0.2518
Ni1 Ni 0.0000 0.0000 0.3159
Rh1 Rh 0.0000 0.0000 0.1819
```

---

Record 2
For CeNp2UN4, a GGA-PBE-relaxed structure gives the theoretical PXRD pattern in this record (λ = 1.5418 Å (Cu Kα)).
Intensities are scaled so that the largest is 100.

Top 10 peaks for 5° ≤ 2θ ≤ 70°, by angle:
2theta, I/Imax
31.44, 34
31.59, 100
36.60, 89
52.62, 31
52.81, 31
62.60, 15
62.78, 36
62.86, 10
65.63, 5
65.97, 16

Structure:
```
data_CeNp2UN4
_symmetry_space_group_name_H-M 'P 1 2/m 1'
_symmetry_Int_Tables_number 10
_cell_length_a 6.005
_cell_length_b 3.467
_cell_length_c 6.033
_cell_angle_alpha 90.00
_cell_angle_beta 109.40
_cell_angle_gamma 90.00
loop_
_symmetry_equiv_pos_as_xyz
'x,y,z'
'-x,-y,-z'
'-x,y,-z'
'x,-y,z'
loop_
_atom_site_label
_atom_site_type_symbol
_atom_site_fract_x
_atom_site_fract_y
_atom_site_fract_z
Ce1 Ce 0.000 0.000 0.000
Np1 Np 0.500 0.000 0.500
Np2 Np 0.500 0.500 0.000
U1 U 0.000 0.500 0.500
N1 N 0.249 0.000 0.736
N2 N 0.260 0.500 0.269
```

---

Record 3
For Ac2Pm6Pr3, a GGA-PBE-relaxed structure gives the theoretical PXRD pattern in this record (λ = 1.5418 Å (Cu Kα)).
Intensities are scaled so that the largest is 100.

Top 10 peaks for 5° ≤ 2θ ≤ 70°, by angle:
2theta, I/Imax
29.28, 100
29.36, 99
33.94, 68
34.08, 33
48.86, 60
57.84, 30
57.98, 29
58.10, 28
60.73, 13
60.91, 13

Structure:
```
data_Ac2Pm6Pr3
_symmetry_space_group_name_H-M 'P -1'
_symmetry_Int_Tables_number 2
_cell_length_a 3.743
_cell_length_b 6.456
_cell_length_c 17.457
_cell_angle_alpha 90.09
_cell_angle_beta 90.02
_cell_angle_gamma 106.80
loop_
_symmetry_equiv_pos_as_xyz
'x,y,z'
'-x,-y,-z'
loop_
_atom_site_label
_atom_site_type_symbol
_atom_site_fract_x
_atom_site_fract_y
_atom_site_fract_z
Ac1 Ac 0.182 0.363 0.272
Pm1 Pm 0.274 0.547 0.912
Pm2 Pm 0.363 0.727 0.543
Pm3 Pm 0.452 0.902 0.178
Pr1 Pr 0.000 0.000 0.000
Pr2 Pr 0.089 0.178 0.635
```

---

Record 4
For Ba2Mg6Au3, a GGA-PBE-relaxed structure gives the theoretical PXRD pattern in this record (λ = 1.5418 Å (Cu Kα)).
Intensities are scaled so that the largest is 100.

Top 10 peaks for 5° ≤ 2θ ≤ 70°, by angle:
2theta, I/Imax
11.81, 20
20.52, 46
28.32, 100
30.78, 19
35.94, 35
37.28, 22
39.18, 15
46.37, 20
54.21, 21
60.01, 28

Structure:
```
data_Ba2Mg6Au3
____________
The entry goes on.
That's why INHF is working to partnering with local landowners, local government agencies and state conservationists to protect this region's important natural heritage and to maintain the mystique of the Upper Iowa River experience. INHF started protecting sites here in the early 1980s (shortly after we were founded) and remains active there today. As of May 2010, INHF has protected 36 sites, totaling more than 4,000 acres, along or near the Upper Iowa River.
Some INHF project sites, like the Canoe Creek Access in Winneshiek County and Upper Iowa River Access in Allamakee County are now owned by public conservation agencies and open to the public. Others sites, though not open to the public, are equally important to protect the area's wildlife, water quality and other natural values.
Here are a few highlights of our work:
Providing river access
Someone pasted calculated crystals at this point.
- - -
No. 1
Computed powder X-ray diffraction pattern of NaPmAs for Cu Kα X-rays, from a DFT-relaxed cell (PBE, Alexandria).

Principal peaks in the range 2θ from 10° to 90°, in order of falling intensity:
2theta, d [Å], I (rel.)
36.16, 2.484, 100
35.97, 2.497, 83
20.96, 4.237, 61
10.82, 8.176, 57
49.66, 1.836, 39
25.29, 3.522, 34
27.58, 3.234, 30
51.93, 1.761, 29

```
data_NaPmAs
_cell_length_a 8.597
_cell_length_b 4.972
_cell_length_c 8.666
_cell_angle_alpha 90.00
_cell_angle_beta 109.36
_cell_angle_gamma 90.00
_symmetry_space_group_name_H-M 'P 1'
_symmetry_Int_Tables_number 1
_symmetry_space_group_name_Hall 'P 1'
loop_
_atom_site_label
_atom_site_type_symbol
_atom_site_fract_x
_atom_site_fract_y
_atom_site_fract_z
Na1 Na 0.136 0.000 0.409
Na2 Na 0.364 0.500 0.591
Na3 Na 0.636 0.500 0.409
Na4 Na 0.864 0.000 0.591
Pm1 Pm 0.117 0.500 0.850
Pm2 Pm 0.383 0.000 0.150
Pm3 Pm 0.617 0.000 0.850
Pm4 Pm 0.883 0.500 0.150
As1 As 0.241 0.500 0.224
As2 As 0.259 0.000 0.776
As3 As 0.741 0.000 0.224
As4 As 0.759 0.500 0.776
```

No. 2
Computed powder X-ray diffraction pattern of Na3As3Pt2 for Cu Kα X-rays, from a DFT-relaxed cell (PBE, Alexandria).

Principal peaks in the range 2θ from 10° to 90°, in order of falling intensity:
2theta, d [Å], I (rel.)
16.83, 5.266, 100
22.95, 3.876, 85
41.64, 2.169, 73
25.24, 3.529, 58
12.41, 7.130, 50
50.19, 1.818, 48
29.06, 3.073, 45
41.44, 2.179, 43

```
data_Na3As3Pt2
_cell_length_a 5.700
_cell_length_b 5.700
_cell_length_c 14.261
_cell_angle_alpha 90.00
_cell_angle_beta 90.00
_cell_angle_gamma 135.04
_symmetry_space_group_name_H-M 'P 1'
_symmetry_Int_Tables_number 1
_symmetry_space_group_name_Hall 'P 1'
loop_
_atom_site_label
_atom_site_type_symbol
_atom_site_fract_x
_atom_site_fract_y
_atom_site_fract_z
Na1 Na 0.083 0.917 0.621
Na2 Na 0.083 0.917 0.879
Na3 Na 0.380 0.620 0.750
Na4 Na 0.620 0.380 0.250
Na5 Na 0.917 0.083 0.121
Na6 Na 0.917 0.083 0.379
As1 As 0.321 0.679 0.250
As2 As 0.376 0.624 0.532
As3 As 0.376 0.624 0.968
As4 As 0.624 0.376 0.032
As5 As 0.624 0.376 0.468
As6 As 0.679 0.321 0.750
Pt1 Pt 0.204 0.796 0.098
Pt2 Pt 0.204 0.796 0.402
Pt3 Pt 0.796 0.204 0.598
Pt4 Pt 0.796 0.204 0.902
```

No. 3
Computed powder X-ray diffraction pattern of NaAsPt for Cu Kα X-rays, from a DFT-relaxed cell (PBE, Alexandria).

Principal peaks in the range 2θ from 10° to 90°, in order of falling intensity:
2theta, d [Å], I (rel.)
19.27, 4.606, 100
33.70, 2.659, 61
30.69, 2.913, 59
52.57, 1.741, 47
23.66, 3.761, 42
41.59, 2.171, 31
58.41, 1.580, 29
43.96, 2.060, 28

```
data_NaAsPt
_cell_length_a 6.514
_cell_length_b 6.514
_cell_length_c 6.514
_cell_angle_alpha 90.00
_cell_angle_beta 90.00
_cell_angle_gamma 90.00
_symmetry_space_group_name_H-M 'P 1'
_symmetry_Int_Tables_number 1
_symmetry_space_group_name_Hall 'P 1'
loop_
_atom_site_label
_atom_site_type_symbol
_atom_site_fract_x
_atom_site_fract_y
_atom_site_fract_z
Na1 Na 0.119 0.119 0.119
Na2 Na 0.381 0.881 0.619
Na3 Na 0.619 0.381 0.881
Na4 Na 0.881 0.619 0.381
- - -
INHF completed its first project along the Upper Iowa River in 1980, our first year as an organization. The Upper Iowa River Access (323 acres) lies along three-quarters of a mile of the Upper Iowa River in western Allamakee County. This rich natural area contains outstanding scenic, recreational, fisheries, wildlife, geological and archaeological features. INHF negotiated a purchase from the willing landowners, creating the opportunity for public access to the river. The site is now owned and managed by the Iowa Department of Natural Resources. INHF often acts as a facilitator between voluntary private sellers and public buyers, like the state or county, to establish new public lands across Iowa.
Protecting palisades
Later in the 1980s, INHF worked with two private landowners who donated a conservation easement on the half-mile stretch of river that holds Chimney Rock, an outstanding limestone stack formation. The approximately 22-acre area also contains wooded hillsides and remnant prairies.
At about the same time, INHF negotiated another private conservation easement on the rugged, limestone palisades on the Upper Iowa River-another well-known segment. This easement also protected 23 acres of beautiful blufflands, some rare, endangered and unusual plant and animal species. A couple of years later the property was purchased by the Winneshiek County Conservation Board.
Saving trout streams
Meanwhile, INHF had a cold water stream protection program that was primarily directed at this Winneshiek and Allamakee County region. It includes protection along Pine Creek, Cold Water Creek, and other significant tributaries.
Working with the neighborhood
In 2000-2001, the 128-acre River Bend acquisition to prevent a 44-house subdivision has pushed INHF's efforts along the Upper Iowa River to new heights. INHF staff made 60 individual landowner contacts within several months and gave presentations to local county boards and commissions, plus local organizations. Working closely with the Iowa Department of Natural Resources and 12 local families who voluntarily donated conservation easements to make the deal work, the River Bend project eventually resulted in 144 acres protected for public use and nearly 900 acres protected under private conservation easements.
Then in 2004, INHF transferred 140 acres, including the inside bend of the Chimney Rock palisades, to the Iowa Department of Natural Resources. An INHF board member, shocked by a landowner who was plowing right into the river, had purchased thin buffer strips of land along the river and donated them to INHF in 1990. Nearly 15 years later, INHF was finally able to purchase the adjoining parcels. The Department of Natural Resources is restoring woodland and reconstructing prairie on the land, which is now open for public use. A few months later, INHF helped the Iowa DNR acquire an adjoining 27-acre parcel, adding the last puzzle piece to this key river bend across from Chimney Rocks.
Heritage Valley
== Calculated crystals from another source follow ==
Starting from a cell relaxed with GGA-PBE, the XRD peak list of Na10YbSn12 was simulated for Cu Kα (λ = 1.5418 Å).
Neutral-atom scattering factors, no anomalous dispersion.

Principal peaks in the range 2θ from 5° to 70°, by angle:
2theta  I/Imax
11.12  100
19.31  90
29.69  72
33.78  80
35.67  34
37.47  95
40.87  38
44.06  38
57.92  43
60.43  36

Crystal structure
abc: 9.749 9.749 9.749
angles: 109.47 109.47 109.47
Positions (direct):
Na 0.000 0.000 0.385
Na 0.000 0.385 0.000
Na 0.250 0.500 0.750
Na 0.250 0.750 0.500
Na 0.385 0.000 0.000
Na 0.500 0.250 0.750
Na 0.500 0.750 0.250
Na 0.615 0.615 0.615
Na 0.750 0.250 0.500
Na 0.750 0.500 0.250
Yb 0.000 0.000 0.000
Sn 0.000 0.629 0.812
Sn 0.000 0.812 0.629
Sn 0.183 0.371 0.371
Sn 0.188 0.188 0.817
Sn 0.188 0.817 0.188
Sn 0.371 0.183 0.371
Sn 0.371 0.371 0.183
Sn 0.629 0.000 0.812
Sn 0.629 0.812 0.000
Sn 0.812 0.000 0.629
Sn 0.812 0.629 0.000
Sn 0.817 0.188 0.188



Starting from a cell relaxed with GGA-PBE, the XRD peak list of NaZnSn3 was simulated for Cu Kα (λ = 1.5418 Å).
Neutral-atom scattering factors, no anomalous dispersion.

Principal peaks in the range 2θ from 5° to 70°, by angle:
2theta  I/Imax
15.37  44
19.61  46
29.49  21
29.99  100
36.44  34
36.57  34
40.65  71
52.58  24
68.42  16
68.60  16

Crystal structure
abc: 6.733 6.733 6.733
angles: 137.19 137.03 62.26
Positions (direct):
Na 0.000 0.000 0.000
Zn 0.371 0.371 0.000
Sn 0.256 0.756 0.500
Sn 0.600 0.600 0.000
Sn 0.757 0.257 0.500



Starting from a cell relaxed with GGA-PBE, the XRD peak list of NaZn4Sn was simulated for Cu Kα (λ = 1.5418 Å).
Neutral-atom scattering factors, no anomalous dispersion.

Principal peaks in the range 2θ from 5° to 70°, by angle:
2theta  I/Imax
19.94  16
23.07  14
32.85  26
38.73  100
40.53  41
51.67  5
53.12  6
58.65  10
62.60  32
68.88  25

Crystal structure
abc: 5.453 5.453 5.453
angles: 60.00 60.00 60.00
Positions (direct):
Na 0.000 0.000 0.000
Zn 0.122 0.626 0.626
Zn 0.626 0.122 0.626
Zn 0.626 0.626 0.122
Zn 0.626 0.626 0.626
Sn 0.250 0.250 0.250



Starting from a cell relaxed with GGA-PBE, the XRD peak list of NaZn2Sn2 was simulated for Cu Kα (λ = 1.5418 Å).
Neutral-atom scattering factors, no anomalous dispersion.

Principal peaks in the range 2θ from 5° to 70°, by angle:
2theta  I/Imax
16.77  100
18.59  73
23.97  43
31.38  40
32.69  80
35.00  63
35.70  36
39.62  59
42.85  34
44.49  46

Crystal structure
abc: 5.773 6.187 8.565
angles: 69.78 82.39 64.79
Positions (direct):
Na 0.241 0.135 0.212
Na 0.759 0.865 0.788
Zn 0.024 0.293 0.765
Zn 0.377 0.442 0.790
Zn 0.623 0.558 0.210
Zn 0.976 0.707 0.235
Sn 0.257 0.782 0.959
Sn 0.334 0.348 0.494
Sn 0.666 0.652 0.506
Sn 0.743 0.218 0.041



Starting from a cell relaxed with GGA-PBE, the XRD peak list of Na3Zn2Sn3 was simulated for Cu Kα (λ = 1.5418 Å).
Neutral-atom scattering factors, no anomalous dispersion.

Principal peaks in the range 2θ from 5° to 70°, by angle:
2theta  I/Imax
15.91  58
22.22  66
22.96  47
30.58  100
31.99  63
35.69  47
38.35  81
== End of the calculated crystals ==
In 2007, INHF acquired 1,224 acres from the estate of Forrest and Gladys Ryan. Now called Heritage Valley, this diverse and beautiful property is located along the Upper Iowa River in western Allamakee County. It contains wooded bluffs, hillside prairies and more than 3 miles of the Upper Iowa River. The property is still in INHF ownership and typically not open to public use. However, INHF opened it for several public BioBlitz events - where participants identified more than 1,000 plant and wildlife species on the site. INHF continues to invest many hours of intern and staff time on restoration and management.
Upper Iowa River: How to Help
INHF's recent work along the Upper Iowa River has interested many landowners in permanent protection. But we can't get it all done without funding for land payments, stewardship expenses, appraisals, staff time, etc.
That's why we've targeted the Upper Iowa River as part of our Campaign for the Bluffs, the Hills, the Lakes. Donors to this campaign know that every penny of their gift goes into the land – and is matched 9 to 1! You can direct your gift to protect land in the Bluffs Country of northeast Iowa (which includes the Upper Iowa River), Iowa's major natural lakes, and/or the Loess Hills. Donate today!